Source:
........
Structure and calculated X-ray powder pattern of NiSnHgOs (a DFT-relaxed cell (PBE, OQMD); CuKα).
Lines closer than 0.1° are merged.

```
data_NiSnHgOs
_chemical_formula_sum 'Ni4 Sn4 Hg4 Os4'
_symmetry_space_group_name_H-M 'F -4 3 m'
_symmetry_Int_Tables_number 216
_symmetry_space_group_name_Hall 'F -4 2 3'
_cell_length_a 6.4847
_cell_length_b 6.4847
_cell_length_c 6.4847
_cell_angle_alpha 90.00
_cell_angle_beta 90.00
_cell_angle_gamma 90.00
loop_
_atom_site_label
_atom_site_type_symbol
_atom_site_fract_x
_atom_site_fract_y
_atom_site_fract_z
Ni1 Ni 0.0000 0.0000 0.0000
Sn1 Sn 0.2500 0.2500 0.7500
Hg1 Hg 0.0000 0.0000 0.5000
Os1 Os 0.2500 0.2500 0.2500
```

Most intense lines, 15 to 90 degrees two-theta, sorted by position:
two_theta, I (rel.), index
23.77, 16, 1 1 1
39.30, 100, 2 2 0
46.44, 9, 3 1 1
56.79, 17, 4 0 0
62.42, 4, 3 3 1
71.24, 35, 4 2 2
84.52, 12, 4 4 0
89.39, 3, 5 3 1



Structure and calculated X-ray powder pattern of BaPrO3 (a DFT-relaxed cell (PBE, OQMD); CuKα).
Lines closer than 0.1° are merged.

```
data_BaPrO3
_chemical_formula_sum 'Ba6 Pr6 O18'
_symmetry_space_group_name_H-M 'R -3 c'
_symmetry_Int_Tables_number 167
_symmetry_space_group_name_Hall '-R 3 2"c'
_cell_length_a 6.4264
_cell_length_b 6.4264
_cell_length_c 15.4056
_cell_angle_alpha 90.00
_cell_angle_beta 90.00
_cell_angle_gamma 120.00
loop_
_atom_site_label
_atom_site_type_symbol
_atom_site_fract_x
_atom_site_fract_y
_atom_site_fract_z
Ba1 Ba 0.0000 0.0000 0.2500
Pr1 Pr 0.0000 0.0000 0.0000
O1 O 0.0000 0.4122 0.2500
```

Most intense lines, 15 to 90 degrees two-theta, sorted by position:
two_theta, I (rel.), index
27.76, 96, 1 1 0
28.18, 100, 1 0 4
39.97, 53, 0 2 4
49.11, 27, 3 0 0
49.36, 45, 2 1 4
50.13, 21, 0 1 8
65.10, 18, 1 3 4
65.74, 19, 1 2 8



Structure and calculated X-ray powder pattern of YHoCu2Pb (a DFT-relaxed cell (PBE, OQMD); CuKα).
Lines closer than 0.1° are merged.

```
data_YHoCu2Pb
_chemical_formula_sum 'Y2 Ho2 Cu4 Pb2'
_symmetry_space_group_name_H-M 'A m m 2'
_symmetry_Int_Tables_number 38
_cell_length_a 3.6771
_cell_length_b 4.2340
_cell_length_c 13.9931
_cell_angle_alpha 90.00
_cell_angle_beta 90.00
_cell_angle_gamma 90.00
loop_
_symmetry_equiv_pos_as_xyz
'x,y,z'
'-x,-y,z'
'-x,y,z'
'x,-y,z'
'x,y+1/2,z+1/2'
'-x,-y+1/2,z+1/2'
'-x,y+1/2,z+1/2'
'x,-y+1/2,z+1/2'
loop_
_atom_site_label
_atom_site_type_symbol
_atom_site_fract_x
_atom_site_fract_y
_atom_site_fract_z
Y1 Y 0.0000 0.0000 0.0000
Ho1 Ho 0.0000 0.0000 0.7302
Cu1 Cu 0.5000 0.0000 0.1630
Cu2 Cu 0.5000 0.0000 0.5700
Pb1 Pb 0.5000 0.0000 0.3656
```

Most intense lines, 15 to 90 degrees two-theta, sorted by position:
two_theta, I (rel.), index
28.47, 40, 0 1 3
32.89, 100, 1 1 1
35.42, 61, 1 0 4
38.57, 50, 0 1 5
42.71, 25, 0 2 0
49.58, 16, 2 0 0
56.68, 44, 1 2 4
64.52, 22, 2 1 5



Question: Number 3 is which compound?
Answer: YHoCu2Pb

=====

Record 1
Calculated powder diffraction line list
Compound: Sr4MgMn2S2O6
Radiation: CuKα
Structure: a crystal structure in the Materials Project, relaxed with PBE+U
Peak positions follow from Bragg's law for the DFT cell and can differ from measured ones.

Structural model:
abc: 3.9721 3.9721 15.4767
angles: 90.00 90.00 90.00
Space group P-4m2 (No. 115)
Asymmetric unit:
Sr: 0.0000 0.5000 0.1217 x2
Sr: 0.0000 0.5000 0.3599 x2
Mg: 0.5000 0.5000 0.5000 x1
Mn: 0.0000 0.5000 0.7551 x2
S: 0.0000 0.5000 0.9183 x2
O: 0.0000 0.0000 0.2571 x2
O: 0.0000 0.5000 0.5556 x2
O: 0.5000 0.5000 0.2612 x2

Most intense lines, 10 to 80 degrees two-theta, sorted by position:
| 2theta | I/Imax | (hkl) |
| --- | --- | --- |
| 11.43 | 30 | 0 0 2 |
| 28.36 | 52 | 1 0 3 |
| 31.86 | 79 | 1 1 0 |
| 36.81 | 100 | 1 0 5 |
| 39.65 | 45 | 1 1 4 |
| 45.68 | 53 | 2 0 0 |
| 54.64 | 17 | 2 1 3 |
| 60.05 | 44 | 2 1 5 |

Record 2
Calculated powder diffraction line list
Compound: MnRePb2O6
Radiation: CuKα
Structure: a crystal structure in the Materials Project, relaxed with PBE+U
Peak positions follow from Bragg's law for the DFT cell and can differ from measured ones.
........
Work order:
Your job: say how many lines of the notes further up hold the word "hkl", as a bare number.
Written answer:
1